........
(1)
Here is 14 unconnected molecules or ions with the total composition CH26F3O16S in a non-equilibrium geometry from the Open Molecules 2025 dataset. Energies are from wB97M-V/def2-TZVPD.

Charge: -1
Spin multiplicity: 1
Highest occupied orbital energy: -8.32 eV
ΔE to the lowest compared entry with this formula, charge and spin: 16.5 kcal per mole

Geometry (Å):
C1 0.08216 0.82486 0.31436
F1 1.17689 0.39330 0.92300
F2 -0.79722 1.21174 1.21765
F3 0.39015 1.83357 -0.48956
S1 -0.67253 -0.58239 -0.75795
O1 0.20164 -0.82221 -1.89680
O2 -0.82929 -1.70711 0.15539
O3 -1.94858 -0.06119 -1.20090
O4 3.30104 -1.83417 0.98378
H1 3.90480 -1.13495 1.25195
H2 2.88789 -1.49620 0.16246
O5 -3.60878 0.31804 2.74764
H3 -4.15434 -0.45901 2.90145
H4 -2.70329 -0.01622 2.74932
O6 3.50002 1.91819 2.89470
H5 3.76471 1.71523 1.99354
H6 3.04825 1.11862 3.20470
O7 2.32610 4.37882 -0.39817
H7 2.56367 3.45129 -0.48872
H8 3.05339 4.85937 -0.80690
O8 0.73760 0.51381 -4.41917
H9 0.60461 0.02772 -3.59033
H10 0.43796 -0.09291 -5.10245
O9 -1.03387 3.72418 3.50385
H11 -0.13707 4.02810 3.32723
H12 -1.33263 3.35301 2.66511
O10 3.14866 -0.39703 -1.47765
H13 3.21717 0.48449 -1.09757
H14 2.23166 -0.45309 -1.80664
O11 0.24651 -3.24885 -3.58739
H15 -0.52864 -3.13681 -4.14755
H16 0.14995 -2.56813 -2.90527
O12 -3.32985 -0.72888 -3.50414
H17 -2.88200 -0.74913 -2.63543
H18 -3.48719 0.20479 -3.66890
O13 -3.13992 2.63236 -0.91550
H19 -2.94204 1.71273 -1.15137
H20 -2.61294 3.15680 -1.52640
O14 -3.10563 -3.32959 -0.63273
H21 -3.70736 -2.90686 -0.01332
H22 -2.30385 -2.78193 -0.59969
O15 2.42225 -0.90804 3.73776
H23 3.01636 -1.09333 2.99266
H24 2.59625 -1.61717 4.36397
O16 -0.96842 -3.23623 2.51922
H25 -0.97174 -2.80492 1.64580
H26 -1.81252 -3.69468 2.56495

Atoms 1-2, force components in eV/Å:
-0.73 -1.54 -1.12
0.34 0.06 0.14


(2)
Here is a single C3H4Cl2 molecule in a non-equilibrium geometry from the Open Molecules 2025 dataset. Energies are from wB97M-V/def2-TZVPD.

Charge: 0
Spin multiplicity: 1
Highest occupied orbital energy: -9.89 eV
SMILES string: C/C(Cl)=C/Cl
ΔE to the lowest compared entry with this formula, charge and spin: 56.6 kcal per mole

Geometry (Å):
C1 -0.95981 0.67630 0.16559
C2 0.05315 -0.57262 -0.28911
Cl1 -0.53860 -2.31203 -0.01678
C3 1.30228 -0.19897 -0.34370
Cl2 2.90238 -1.05416 0.07974
H1 -0.82809 1.75947 0.22115
H2 -1.54930 0.25843 1.15966
H3 -1.84013 0.72396 -0.63758
H4 1.45812 0.71962 -0.33896

Atoms 1-2, force components in eV/Å:
-4.48 -3.67 -0.90
-2.12 0.56 2.13


(3)
Here is 4 unconnected molecules or ions with the total composition C38H46F10N2O12S2 in a non-equilibrium geometry from the Open Molecules 2025 dataset. Energies are from wB97M-V/def2-TZVPD.

Charge: 0
Spin multiplicity: 1
Highest occupied orbital energy: -9.21 eV
SMILES string: C#C[C@]1(S)C(=O)O[C@@](CCOCC)(CC(=O)F)[C@@]1(CCSc1nnco1)C[C@H](C)OCc1ccccc1.CCOC(=O)C(F)(F)F.CCOC(=O)C(F)(F)F.CCOC(=O)C(F)(F)F

Geometry (Å):
C1 -3.09774 -0.54746 3.31368
C2 -1.92747 -0.29552 3.22712
C3 -0.58422 0.23544 3.02670
S1 0.30384 -0.16984 4.62863
C4 -0.45958 1.76904 2.98458
O1 -1.20651 2.57498 3.44225
O2 0.67568 2.02832 2.33677
C5 1.25753 0.89755 1.56292
C6 1.37702 1.49605 0.16361
C7 2.27829 2.74043 0.08990
O3 1.52346 3.79716 -0.51160
C8 2.35759 4.91179 -0.76160
C9 1.54407 6.22133 -0.78502
C10 2.60741 0.69790 2.26349
C11 3.65738 -0.01228 1.44086
O4 4.11481 0.31285 0.40203
F1 4.13851 -1.11860 2.05568
C12 0.17840 -0.22655 1.76093
C13 -0.82018 -0.39441 0.60875
C14 -1.73760 0.81806 0.35513
S2 -2.18345 0.90562 -1.41405
C15 -3.01870 2.43741 -1.45758
N1 -4.28373 2.64602 -1.27217
N2 -4.48211 3.99463 -1.41834
C16 -3.32770 4.51432 -1.66934
O5 -2.35343 3.59046 -1.71026
C17 0.71780 -1.64911 2.09007
C18 1.21775 -2.54760 0.94554
C19 2.09830 -3.64631 1.57781
O6 1.93636 -1.81528 -0.03848
C20 2.34286 -2.64225 -1.12196
C21 1.78652 -2.29866 -2.49005
C22 2.02794 -3.22753 -3.50133
C23 1.55161 -3.05453 -4.78936
C24 0.80591 -1.91892 -5.10244
C25 0.58974 -0.98036 -4.10927
C26 1.06950 -1.15597 -2.81439
........

Your job: say how many lines of the rows earlier on hold the word "H24", as a bare number.

1